QR scans still too low despite bubble, app game
Kiwis still worryingly complacent about scanning QR codes, despite tweaks to tracer app.
Kiwis still worryingly complacent about scanning QR codes, despite tweaks to tracer app.
_Someone pasted materials data at this point_
- - -
Record 1
{"formula": "In2Co3S2", "functional": "PBE", "state": "optimized geometry", "crystal_system": "trigonal", "formation_energy_mev_per_atom": -463, "cell": [[4.8011, -2.6666, 0.0000], [4.8011, 2.6666, 0.0000], [3.3201, 0.0000, 4.3748]], "species": ["In", "In", "S", "S", "Co", "Co", "Co"], "frac_coords": [[0.5000, 0.5000, 0.5000], [0.0000, 0.0000, 0.0000], [0.7229, 0.7229, 0.7229], [0.2771, 0.2771, 0.2771], [0.0000, 0.5000, 0.0000], [0.5000, 0.0000, 0.0000], [0.0000, 0.0000, 0.5000]]}



Record 2
{"formula": "In2CoS4", "functional": "PBE", "state": "optimized geometry", "crystal_system": "cubic", "formation_energy_mev_per_atom": -682, "cell": [[0.7502, 1.1012, 7.3832], [-5.1996, -2.6208, 4.7310], [1.6032, -5.7768, 4.5105]], "species": ["S", "S", "S", "S", "S", "S", "S", "S", "In", "In", "In", "In", "Co", "Co"], "frac_coords": [[0.8757, 0.3730, 0.8757], [0.8770, 0.3743, 0.3743], [0.3730, 0.8757, 0.8757], [0.3743, 0.3743, 0.3743], [0.3743, 0.3743, 0.8770], [0.8757, 0.8757, 0.3730], [0.3743, 0.8770, 0.3743], [0.8757, 0.8757, 0.8757], [0.1250, 0.6250, 0.1250], [0.1250, 0.1250, 0.1250], [0.6250, 0.1250, 0.1250], [0.1250, 0.1250, 0.6250], [0.5000, 0.5000, 0.5000], [0.7500, 0.7500, 0.7500]]}



Record 3
{"formula": "In2CoSe4", "functional": "PBE", "state": "optimized geometry", "crystal_system": "cubic", "formation_energy_mev_per_atom": -564, "cell": [[0.0000, 5.5241, 5.5241], [5.5241, 0.0000, 5.5241], [5.5241, 5.5241, 0.0000]], "species": ["Se", "Se", "Se", "Se", "Se", "Se", "Se", "Se", "In", "In", "In", "In", "Co", "Co"], "frac_coords": [[0.8791, 0.8791, 0.3628], [0.3709, 0.3709, 0.8872], [0.3709, 0.8872, 0.3709], [0.3628, 0.8791, 0.8791], [0.8791, 0.8791, 0.8791], [0.3709, 0.3709, 0.3709], [0.8791, 0.3628, 0.8791], [0.8872, 0.3709, 0.3709], [0.1250, 0.6250, 0.6250], [0.6250, 0.1250, 0.6250], [0.6250, 0.6250, 0.6250], [0.6250, 0.6250, 0.1250], [0.2500, 0.2500, 0.2500], [0.0000, 0.0000, 0.0000]]}



Record 4
{"formula": "Sm12InCo6", "functional": "PBE", "state": "optimized geometry", "crystal_system": "cubic", "formation_energy_mev_per_atom": -177, "cell": [[7.9347, -2.6980, 1.7188], [-5.5986, -4.4032, 4.7392], [-1.6962, -1.2300, -8.2947]], "species": ["Sm", "Sm", "Sm", "Sm", "Sm", "Sm", "Sm", "Sm", "Sm", "Sm", "Sm", "Sm", "Co", "Co", "Co", "Co", "Co", "Co", "In"], "frac_coords": [[0.8079, 0.3050, 0.1129], [0.1921, 0.6950, 0.8871], [0.6950, 0.8871, 0.1921], [0.3050, 0.4970, 0.1921], [0.3050, 0.1129, 0.8079], [0.8871, 0.1921, 0.6950], [0.6950, 0.5030, 0.8079], [0.8079, 0.6950, 0.5030], [0.1129, 0.8079, 0.3050], [0.5030, 0.8079, 0.6950], [0.1921, 0.3050, 0.4970], [0.4970, 0.1921, 0.3050], [0.1117, 0.6117, 0.5000], [0.5000, 0.8883, 0.3883], [0.6117, 0.5000, 0.1117], [0.5000, 0.1117, 0.6117], [0.3883, 0.5000, 0.8883], [0.8883, 0.3883, 0.5000], [0.0000, 0.0000, 0.0000]]}



Record 5
- - -
The first full year of closed borders is reflected in the latest migration numbers
'I've also had issues when booking my own family members,' South Auckland GP says.
New York Times: Babies and small children are succumbing to the virus at a high rate.
As at April 30, 291 invoices are overdue by more than 180 days.
The results from the new samples are expected to be available tomorrow evening.
New York Times: The world is nowhere close to having enough Covid vaccines.
COMMENT: Parenting's tough enough in normal times. In a pandemic, it's brutal.
We still don't know how effective NZ's sewage testing is, expert says.
More vaccinators urgently needed to deal with the community turnout in south Auckland.
COMMENT: As borders begin to reopen, the time has come for an economic reset.
EDITORIAL: Our long-term problems are harder to sort out than vaccinations and reopening.
Just over 1000 cases in the last year, Taiwan has its worst Covid outbreak yet.
Getting back to business as usual is probably for the next Budget, Thomas Pippos says.
Report recommends a more even split of housework and childcare between couples.
Experts say latest 'weak' positives fit pattern of old infections picked up in wastewater.
It's likely the result is due to recovered cases continuing to shed the virus, MoH says.
And his advice about the much-disputed "five-second rule" ...
Most abuse subjects are women, which translates into highly gendered hate.
Dr Nick Coatsworth has a stern warning for all Australians.
Anyone in NZ who was at Melbourne places of interest must call Healthline for advice.
Long-term biochemical impacts discovered in more than half of those who get Covid.
At least three mutated variants have birthed in India.
States, businesses divided over guidance relaxing mask use as vaccine rollout progresses.
OPINION: The PM has to convince business leaders New Zealand is on the right track.
Even with Covax help, many countries won't reach 60 per cent coverage until 2023 or later.
Maher, who is fully vaccinated, is "asymptomatic and feels fine".
As in Delhi and Mumbai, Kathmandu's residents are dying at home and outside hospitals.
A group of 18 scientists reignited the debate over whether Covid-19 escaped from a lab.
Contact tracers continue to follow up with 4500 recent arrivals from Victoria.